What to do
Could you copy all of the material underneath with every line break kept?

Source
+++
No. 1
# BeTl2P

A PBEsol-optimized structure of BeTl2P (meta-GGA SCAN, Alexandria via LeMat-Bulk).

Cell: 4.7372 4.7372 3.9573 Å, 100.87 100.87 102.46°
Last column: nearest neighbours and their distance in Å.
Fractional coordinates of all 4 atoms:
Be  0.0000  0.0000  0.0000  4 Tl 2.79, 2 P 2.97
Tl  0.0000  0.5000  0.5000  2 Be 2.79, 2 P 2.79, 2 Tl 2.97
Tl  0.5000  0.0000  0.5000  2 Be 2.79, 2 P 2.79, 2 Tl 2.97
P  0.5000  0.5000  0.0000  4 Tl 2.79, 2 Be 2.97

Output
The space group is No. 12. As for the formation enthalpy at 0 K: 700 meV/atom.

***

No. 2
# SrScAlHg2

A PBEsol-optimized structure of SrScAlHg2 (meta-GGA SCAN, Alexandria via LeMat-Bulk).

Cell: 5.1016 5.1016 5.1682 Å, 90.00 90.00 90.00°
Last column: nearest neighbours and their distance in Å.
Fractional coordinates of all 5 atoms:
Sr  0.0000  0.0000  0.0000  4 Sc 3.61, 8 Hg 3.63
Sc  0.5000  0.5000  0.0000  2 Al 2.58
Al  0.5000  0.5000  0.5000  4 Hg 2.55, 2 Sc 2.58
Hg  0.0000  0.5000  0.5000  2 Al 2.55
Hg  0.5000  0.0000  0.5000  2 Al 2.55

Output
The space group is No. 123. As for the formation enthalpy at 0 K: -89 meV/atom.

***

No. 3
# CdPb2AuN

A PBEsol-optimized structure of CdPb2AuN (meta-GGA SCAN, Alexandria via LeMat-Bulk).

Cell: 5.3226 5.3226 3.9276 Å, 90.00 90.00 90.00°
Last column: nearest neighbours and their distance in Å.
Fractional coordinates of all 5 atoms:
Cd  0.0000  0.0000  0.0000  8 Pb 3.31
Pb  0.0000  0.5000  0.5000  2 N 2.66
Pb  0.5000  0.0000  0.5000  2 N 2.66
Au  0.5000  0.5000  0.0000  2 N 1.96
N  0.5000  0.5000  0.5000  2 Au 1.96

Output
The space group is No. 123. As for the formation energy (no corrections): 0.480 eV/atom.

***

No. 4
# B3PbI

A PBEsol-optimized structure of B3PbI (meta-GGA SCAN, Alexandria via LeMat-Bulk).

Cell: 4.4580 4.4580 4.4580 Å, 90.00 90.00 90.00°
Last column: nearest neighbours and their distance in Å.
Fractional coordinates of all 5 atoms:
B  0.0000  0.0000  0.5000  2 I 2.23
B  0.0000  0.5000  0.0000  2 I 2.23
B  0.5000  0.0000  0.0000  2 I 2.23
Pb  0.5000  0.5000  0.5000  12 B 3.15
I  0.0000  0.0000  0.0000  6 B 2.23

Output
The space group is No. 221. As for the formation energy (no corrections): 2.470 eV/atom.

***

No. 5
# BeFeW

A PBEsol-optimized structure of BeFeW (meta-GGA SCAN, Alexandria via LeMat-Bulk).

Cell: 4.6846 4.6846 4.6846 Å, 145.26 145.26 49.95°
Last column: nearest neighbours and their distance in Å.
Fractional coordinates of all 3 atoms:
Be  0.0000  0.0000  0.0000  4 Fe 2.26
Fe  0.3720  0.3720  0.0000  4 Be 2.26, 4 W 2.51
W  0.6893  0.6893  0.0000  5 Fe 2.51-2.70, 5 Be 2.55-2.64, 4 W 2.80

Output
The space group is No. 107. As for the formation enthalpy at 0 K: 99 meV/atom.

***

No. 6
# CoRh2O4

A PBEsol-optimized structure of CoRh2O4 (meta-GGA SCAN, Alexandria via LeMat-Bulk).

Cell: 5.9600 5.9600 5.9600 Å, 60.00 60.00 60.00°
Last column: nearest neighbours and their distance in Å.
Fractional coordinates of all 14 atoms:
Co  0.1250  0.1250  0.1250  4 O 1.94
Co  0.8750  0.8750  0.8750  4 O 1.94
Rh  0.0000  0.5000  0.5000  6 O 2.04
Rh  0.5000  0.0000  0.5000  6 O 2.04
Rh  0.5000  0.5000  0.0000  6 O 2.04
Rh  0.5000  0.5000  0.5000  6 O 2.04
O  0.2581  0.2581  0.2581  1 Co 1.94, 3 Rh 2.04
O  0.2581  0.2581  0.7257  1 Co 1.94, 3 Rh 2.04
O  0.2581  0.7257  0.2581  1 Co 1.94, 3 Rh 2.04
O  0.2743  0.7419  0.7419  1 Co 1.94, 3 Rh 2.04
O  0.7257  0.2581  0.2581  1 Co 1.94, 3 Rh 2.04
O  0.7419  0.2743  0.7419  1 Co 1.94, 3 Rh 2.04
O  0.7419  0.7419  0.2743  1 Co 1.94, 3 Rh 2.04
O  0.7419  0.7419  0.7419  1 Co 1.94, 3 Rh 2.04

Output
The space group is No. 227. As for the formation energy (no corrections): -1.085 eV/atom.

***

No. 7
# MnRe2Sb

A PBEsol-optimized structure of MnRe2Sb (meta-GGA SCAN, Alexandria via LeMat-Bulk).

Cell: 2.9949 2.9949 6.6225 Å, 90.00 90.00 90.00°
Last column: nearest neighbours and their distance in Å.
Fractional coordinates of all 4 atoms:
Mn  0.0000  0.0000  0.0000  4 Re 2.62, 4 Sb 2.64
Re  0.0000  0.0000  0.4732  4 Re 2.65, 4 Sb 2.85
+++

Response
No. 1
# BeTl2P

A PBEsol-optimized structure of BeTl2P (meta-GGA SCAN, Alexandria via LeMat-Bulk).

Cell: 4.7372 4.7372 3.9573 Å, 100.87 100.87 102.46°
Last column: nearest neighbours and their distance in Å.
Fractional coordinates of all 4 atoms:
Be  0.0000  0.0000  0.0000  4 Tl 2.79, 2 P 2.97
Tl  0.0000  0.5000  0.5000  2 Be 2.79, 2 P 2.79, 2 Tl 2.97
Tl  0.5000  0.0000  0.5000  2 Be 2.79, 2 P 2.79, 2 Tl 2.97
P  0.5000  0.5000  0.0000  4 Tl 2.79, 2 Be 2.97

Output
The space group is No. 12. As for the formation enthalpy at 0 K: 700 meV/atom.

***

No. 2
# SrScAlHg2

A PBEsol-optimized structure of SrScAlHg2 (meta-GGA SCAN, Alexandria via LeMat-Bulk).

Cell: 5.1016 5.1016 5.1682 Å, 90.00 90.00 90.00°
Last column: nearest neighbours and their distance in Å.
Fractional coordinates of all 5 atoms:
Sr  0.0000  0.0000  0.0000  4 Sc 3.61, 8 Hg 3.63
Sc  0.5000  0.5000  0.0000  2 Al 2.58
Al  0.5000  0.5000  0.5000  4 Hg 2.55, 2 Sc 2.58
Hg  0.0000  0.5000  0.5000  2 Al 2.55
Hg  0.5000  0.0000  0.5000  2 Al 2.55

Output
The space group is No. 123. As for the formation enthalpy at 0 K: -89 meV/atom.

***

No. 3
# CdPb2AuN

A PBEsol-optimized structure of CdPb2AuN (meta-GGA SCAN, Alexandria via LeMat-Bulk).

Cell: 5.3226 5.3226 3.9276 Å, 90.00 90.00 90.00°
Last column: nearest neighbours and their distance in Å.
Fractional coordinates of all 5 atoms:
Cd  0.0000  0.0000  0.0000  8 Pb 3.31
Pb  0.0000  0.5000  0.5000  2 N 2.66
Pb  0.5000  0.0000  0.5000  2 N 2.66
Au  0.5000  0.5000  0.0000  2 N 1.96
N  0.5000  0.5000  0.5000  2 Au 1.96

Output
The space group is No. 123. As for the formation energy (no corrections): 0.480 eV/atom.

***

No. 4
# B3PbI

A PBEsol-optimized structure of B3PbI (meta-GGA SCAN, Alexandria via LeMat-Bulk).

Cell: 4.4580 4.4580 4.4580 Å, 90.00 90.00 90.00°
Last column: nearest neighbours and their distance in Å.
Fractional coordinates of all 5 atoms:
B  0.0000  0.0000  0.5000  2 I 2.23
B  0.0000  0.5000  0.0000  2 I 2.23
B  0.5000  0.0000  0.0000  2 I 2.23
Pb  0.5000  0.5000  0.5000  12 B 3.15
I  0.0000  0.0000  0.0000  6 B 2.23

Output
The space group is No. 221. As for the formation energy (no corrections): 2.470 eV/atom.

***

No. 5
# BeFeW

A PBEsol-optimized structure of BeFeW (meta-GGA SCAN, Alexandria via LeMat-Bulk).

Cell: 4.6846 4.6846 4.6846 Å, 145.26 145.26 49.95°
Last column: nearest neighbours and their distance in Å.
Fractional coordinates of all 3 atoms:
Be  0.0000  0.0000  0.0000  4 Fe 2.26
Fe  0.3720  0.3720  0.0000  4 Be 2.26, 4 W 2.51
W  0.6893  0.6893  0.0000  5 Fe 2.51-2.70, 5 Be 2.55-2.64, 4 W 2.80

Output
The space group is No. 107. As for the formation enthalpy at 0 K: 99 meV/atom.

***

No. 6
# CoRh2O4

A PBEsol-optimized structure of CoRh2O4 (meta-GGA SCAN, Alexandria via LeMat-Bulk).

Cell: 5.9600 5.9600 5.9600 Å, 60.00 60.00 60.00°
Last column: nearest neighbours and their distance in Å.
Fractional coordinates of all 14 atoms:
Co  0.1250  0.1250  0.1250  4 O 1.94
Co  0.8750  0.8750  0.8750  4 O 1.94
Rh  0.0000  0.5000  0.5000  6 O 2.04
Rh  0.5000  0.0000  0.5000  6 O 2.04
Rh  0.5000  0.5000  0.0000  6 O 2.04
Rh  0.5000  0.5000  0.5000  6 O 2.04
O  0.2581  0.2581  0.2581  1 Co 1.94, 3 Rh 2.04
O  0.2581  0.2581  0.7257  1 Co 1.94, 3 Rh 2.04
O  0.2581  0.7257  0.2581  1 Co 1.94, 3 Rh 2.04
O  0.2743  0.7419  0.7419  1 Co 1.94, 3 Rh 2.04
O  0.7257  0.2581  0.2581  1 Co 1.94, 3 Rh 2.04
O  0.7419  0.2743  0.7419  1 Co 1.94, 3 Rh 2.04
O  0.7419  0.7419  0.2743  1 Co 1.94, 3 Rh 2.04
O  0.7419  0.7419  0.7419  1 Co 1.94, 3 Rh 2.04

Output
The space group is No. 227. As for the formation energy (no corrections): -1.085 eV/atom.

***

No. 7
# MnRe2Sb

A PBEsol-optimized structure of MnRe2Sb (meta-GGA SCAN, Alexandria via LeMat-Bulk).

Cell: 2.9949 2.9949 6.6225 Å, 90.00 90.00 90.00°
Last column: nearest neighbours and their distance in Å.
Fractional coordinates of all 4 atoms:
Mn  0.0000  0.0000  0.0000  4 Re 2.62, 4 Sb 2.64
Re  0.0000  0.0000  0.4732  4 Re 2.65, 4 Sb 2.85